Excerpt
Entry from the Open Molecules 2025 dataset: C20H58N14NbO31 as an isolated structure in a non-equilibrium geometry (ωB97M-V/def2-TZVPD).

Output
HOMO: -4.30 eV
E: -107521.3836 eV
charge: -1
gap between HOMO and LUMO: 5.17 eV
LUMO level: 0.88 eV

Cartesian coordinates (Å):
O (-7.005, 3.404, 2.488)
C (-6.371, -1.903, 6.353)
C (-3.692, -2.178, -1.470)
O (-1.450, -0.024, -2.002)
C (4.739, 5.902, 3.178)
H (-7.034, 0.960, 1.616)
C (-6.779, -0.223, -1.075)
H (-4.817, -7.115, 1.264)
H (12.719, 8.378, -7.134)
O (6.297, 6.864, 1.763)
H (6.289, 7.345, -0.561)
H (-3.602, -9.559, 2.763)
H (-1.273, -3.505, -0.393)
H (8.389, 4.046, 0.489)
H (-6.308, -0.844, 6.574)
O (1.133, -4.128, -2.475)
H (-7.271, 0.323, 3.262)
C (2.429, 4.601, -3.501)
C (-4.836, -6.165, 0.752)
H (4.226, 6.521, 3.907)
O (8.545, 6.063, -0.591)
N (11.821, 9.247, -5.464)
H (-5.606, -2.467, 6.879)
H (-2.105, 0.900, -4.790)
N (-0.879, 2.336, -5.732)
H (3.403, 4.291, -3.867)
N (7.755, 6.201, -1.509)
H (1.693, 3.815, -3.623)
C (0.218, 1.188, -0.650)
H (1.442, -6.507, -3.381)
O (-0.059, 2.503, -4.857)
H (-1.513, -1.262, 0.462)
H (-4.469, -7.863, 5.888)
H (13.775, 9.443, -6.168)
N (-6.133, -2.089, 4.895)
H (-2.284, -10.743, 3.039)
H (1.147, 1.756, -0.771)
O (-6.572, -8.388, 3.646)
O (3.207, -4.517, -1.988)
H (9.882, 8.818, -3.106)
N (8.404, 9.876, -2.056)
Nb (-1.425, -1.921, -1.273)
O (-0.697, 2.547, -6.913)
H (0.402, -1.921, -1.294)
H (2.113, 5.519, -3.987)
H (-1.337, -2.810, -2.886)
C (-5.402, -7.434, 6.238)
O (-6.453, -8.433, 1.505)
O (-7.569, 0.370, -2.045)
N (-4.184, -11.565, 2.704)
H (1.952, -5.309, -4.600)
O (-3.663, -12.499, 2.144)
N (6.058, 6.539, 2.906)
C (-5.320, -0.173, -1.405)
O (6.313, 3.169, 1.296)
O (10.939, 10.079, -5.417)
H (4.191, 5.842, 2.245)
O (11.987, 8.355, -4.662)
H (-3.707, -0.508, -0.061)
H (-2.592, 2.597, -4.585)
H (-0.429, 1.661, -2.593)
C (8.609, 3.111, 0.987)
O (-5.919, -7.515, 8.498)
H (-5.116, -5.368, 1.436)
H (-5.645, -6.545, 5.665)
H (-3.975, -3.176, -1.121)
N (-5.201, -7.017, 7.654)
C (-7.475, 1.148, 2.588)
H (-2.857, 1.787, -6.159)
C (9.816, 9.710, -2.499)
H (-8.115, -10.213, 3.541)
O (8.055, 6.153, -2.681)
H (-0.506, 1.859, -0.184)
O (-3.292, -5.710, -0.912)
H (-8.720, -9.653, 1.953)
N (2.573, 4.898, -2.048)
C (-0.244, 0.743, -2.019)
O (3.366, 5.771, -1.743)
O (-7.285, -0.711, -0.086)
O (-4.330, -6.205, 7.872)
O (7.602, 9.043, -2.422)
O (7.399, 1.488, 2.093)
H (5.986, 5.585, -0.589)
H (9.255, 3.266, 1.846)
C (6.330, 6.444, -1.158)
H (5.771, 6.557, -2.077)
H (-7.356, -2.302, 6.573)
C (-4.433, -1.128, -0.598)
H (-7.348, -10.788, 2.032)
H (10.421, 9.626, -1.601)
O (8.149, 10.833, -1.356)
O (-5.922, -1.097, 4.233)
N (-6.886, -8.838, 2.562)
H (-5.019, 0.874, -1.290)
H (4.936, 4.914, 3.583)
C (2.200, -5.778, -3.653)
C (-7.848, -9.963, 2.522)
H (0.558, 0.221, -2.550)
H (-8.540, 1.340, 2.494)
H (10.082, 10.595, -3.065)
H (-5.496, -6.194, -0.107)
N (-6.864, 2.388, 3.140)
H (12.512, 10.158, -7.223)
C (-3.315, -10.487, 3.250)
N (-3.457, -5.873, 0.275)
H (-3.505, -10.432, 4.317)
N (7.333, 2.540, 1.497)
H (-6.208, -8.155, 6.206)
H (-5.025, -1.650, 0.154)
O (-2.596, -5.816, 1.129)
C (-2.215, 1.861, -5.289)
O (-6.166, -3.226, 4.477)
O (1.897, 4.269, -1.270)
H (-5.247, -0.377, -2.478)
H (9.047, 2.389, 0.304)
H (-4.021, -2.116, -2.513)
H (0.432, 0.355, 0.020)
N (2.176, -4.711, -2.611)
H (3.190, -6.220, -3.673)
O (-6.278, 2.321, 4.198)
O (6.811, 6.678, 3.846)
C (12.785, 9.319, -6.596)
H (-8.112, 1.037, -1.605)
O (-5.385, -11.426, 2.855)

Wanted
Write out the part of the entries above that starts with the line with "1.763)" and stops after the one with "(4.191, 5.842,", please.

Written answer
O (6.297, 6.864, 1.763)
H (6.289, 7.345, -0.561)
H (-3.602, -9.559, 2.763)
H (-1.273, -3.505, -0.393)
H (8.389, 4.046, 0.489)
H (-6.308, -0.844, 6.574)
O (1.133, -4.128, -2.475)
H (-7.271, 0.323, 3.262)
C (2.429, 4.601, -3.501)
C (-4.836, -6.165, 0.752)
H (4.226, 6.521, 3.907)
O (8.545, 6.063, -0.591)
N (11.821, 9.247, -5.464)
H (-5.606, -2.467, 6.879)
H (-2.105, 0.900, -4.790)
N (-0.879, 2.336, -5.732)
H (3.403, 4.291, -3.867)
N (7.755, 6.201, -1.509)
H (1.693, 3.815, -3.623)
C (0.218, 1.188, -0.650)
H (1.442, -6.507, -3.381)
O (-0.059, 2.503, -4.857)
H (-1.513, -1.262, 0.462)
H (-4.469, -7.863, 5.888)
H (13.775, 9.443, -6.168)
N (-6.133, -2.089, 4.895)
H (-2.284, -10.743, 3.039)
H (1.147, 1.756, -0.771)
O (-6.572, -8.388, 3.646)
O (3.207, -4.517, -1.988)
H (9.882, 8.818, -3.106)
N (8.404, 9.876, -2.056)
Nb (-1.425, -1.921, -1.273)
O (-0.697, 2.547, -6.913)
H (0.402, -1.921, -1.294)
H (2.113, 5.519, -3.987)
H (-1.337, -2.810, -2.886)
C (-5.402, -7.434, 6.238)
O (-6.453, -8.433, 1.505)
O (-7.569, 0.370, -2.045)
N (-4.184, -11.565, 2.704)
H (1.952, -5.309, -4.600)
O (-3.663, -12.499, 2.144)
N (6.058, 6.539, 2.906)
C (-5.320, -0.173, -1.405)
O (6.313, 3.169, 1.296)
O (10.939, 10.079, -5.417)
H (4.191, 5.842, 2.245)